Travel Stories

in transit

    much as i love(d) myanmar, i am now at the airport in kuala lumpur, where i will spend my 3 hours in malaysia in transit drinking their famous “white coffee,” having a bowl of ipoh hor fun, using my credit card again! (i was almost totally out of cash in myanmar w no way to get more there), enjoying the sight of my first rain in 2 months, exploiting the free high speed wireless internet available at the airport (utilizing my well traveled international male power adaptor, of course) in this nation of 28m people i know nothing!! about, and will then be on my way to chennai, india, where i haven’t even booked a room and have no idea where the path will lead me until i rendezvous w sam in delhi three weeks from now.    

   i’ve enjoyed thinking of myself at times these days as a mendicant and poet, someone who is feeling more than thinking, quieting his mind, being more than doing, a monk wandering the streets seeking alms.  of course i know i’m just an american tourist, but there is also a way in which my “thinking” and active cognition have been substantially reduced in terms of their activity and dominance in my brain and have been not so much “replaced” as overwhelmed by “just” being in time and space and feeling   what I am conscious of, aside from the sights and sounds that abound and surround me, is an internal sense of comfort, awe, gratitude, appreciation, wonder, happiness.  these are states of being I am aware of, sensations, feelings.  they are far different than doing, thinking, solving, figuring out, planning, rushing, cramming, socializing, catching a quick cup of coffee and a bite, squeezing “it” all in.   of course, I am also aware there is are real differences between vacation and work, between retirement and employment, between being forty years old, raising a family, paying off a mortgage, and pulling hard in the harness traces, and being seventy years old contemplating the life you have lived and the choices that appeal to you in the life remaining, but beyond these obvious situational determinants, there is also no denying the energetic reception and emanations that characterize my state of being here and now, which is in some way the only time that is real as I “know” that word - real - to mean. 

Jumping Cat Monastery

____________
Entry 1:
DyEr2Ir9 after structural relaxation, computed with PBE.

a b c (Å): 5.2951 5.2951 9.2808
angles (deg): 73.42 73.42 60.00
With the nearest neighbours (Å) after each atom.
Element x y z (fractional)
Dy: 0.0000 0.0000 0.0000  18 Ir 3.06-3.42
Er: 0.8607 0.8607 0.4179  12 Ir 3.04-3.31, 3 Er 3.38
Er: 0.1393 0.1393 0.5821  12 Ir 3.04-3.31, 3 Er 3.38
Ir: 0.6670 0.6670 0.9989  6 Ir 2.65-2.66
Ir: 0.3330 0.3330 0.0011  6 Ir 2.65-2.66
Ir: 0.5000 0.5000 0.5000  6 Ir 2.69
Ir: 0.4176 0.4176 0.2474  7 Ir 2.65-2.69
Ir: 0.9174 0.4176 0.2474  7 Ir 2.65-2.69
Ir: 0.4176 0.9174 0.2474  7 Ir 2.65-2.69
Ir: 0.5824 0.5824 0.7526  7 Ir 2.65-2.69
Ir: 0.5824 0.0826 0.7526  7 Ir 2.65-2.69
Ir: 0.0826 0.5824 0.7526  7 Ir 2.65-2.69

DOS at the Fermi energy: 12.22 states/eV/f.u.
calculated total energy: -8.3842 eV/atom
size of the total moment: 0.0 μB/f.u.

Entry 2:
YTmSc5 after structural relaxation, computed with PBE.

a b c (Å): 5.0583 5.0583 7.7037
angles (deg): 90.00 90.00 90.00
With the nearest neighbours (Å) after each atom.
Element x y z (fractional)
Y: 0.0000 0.0000 0.5000  12 Sc 3.30-3.58
Tm: 0.5000 0.5000 0.0000  8 Sc 3.07
Sc: 0.0000 0.5000 0.7749  2 Tm 3.07, 2 Sc 3.30, 2 Y 3.30
Sc: 0.0000 0.5000 0.2251  2 Tm 3.07, 2 Sc 3.30, 2 Y 3.30
Sc: 0.5000 0.0000 0.7749  2 Tm 3.07, 2 Y 3.30, 2 Sc 3.30
Sc: 0.5000 0.0000 0.2251  2 Tm 3.07, 2 Y 3.30, 2 Sc 3.30
Sc: 0.5000 0.5000 0.5000  8 Sc 3.30, 4 Y 3.58

DOS at the Fermi energy: 11.60 states/eV/f.u.
calculated total energy: -5.7120 eV/atom
size of the total moment: 0.0 μB/f.u.

Entry 3:
NdEr10Th4 after structural relaxation, computed with PBE.

a b c (Å): 10.7374 8.6628 8.6628
angles (deg): 67.41 51.70 51.70
With the nearest neighbours (Å) after each atom.
Element x y z (fractional)
Nd: 0.0000 0.0000 0.0000  4 Th 3.32
Er: 0.2500 0.5000 0.5000  4 Er 3.14, 4 Th 3.16
Er: 0.5411 0.3284 0.9034  5 Er 3.14-3.37
Er: 0.1305 0.0966 0.3284  5 Er 3.14-3.37
Er: 0.5554 0.9034 0.6716  5 Er 3.14-3.37
Er: 0.7730 0.6716 0.0966  5 Er 3.14-3.37
Er: 0.4589 0.6716 0.0966  5 Er 3.14-3.37
Er: 0.7500 0.5000 0.5000  4 Er 3.14, 4 Th 3.16
Er: 0.2270 0.3284 0.9034  5 Er 3.14-3.37
Er: 0.4446 0.0966 0.3284  5 Er 3.14-3.37
Er: 0.8695 0.9034 0.6716  5 Er 3.14-3.37
Th: 0.3387 0.7271 0.5955  4 Er 3.16-3.53, 1 Nd 3.32, 1 Th 3.35
Th: 0.9342 0.4045 0.7271  4 Er 3.16-3.53, 1 Nd 3.32, 1 Th 3.35
Th: 0.0658 0.5955 0.2729  4 Er 3.16-3.53, 1 Nd 3.32, 1 Th 3.35
Th: 0.6613 0.2729 0.4045  4 Er 3.16-3.53, 1 Nd 3.32, 1 Th 3.35

DOS at the Fermi energy: 24.20 states/eV/f.u.
calculated total energy: -4.9555 eV/atom
size of the total moment: 0.0 μB/f.u.

Entry 4:
CsHo2NpO8 after structural relaxation, computed with PBE.
____________

Inle Lake is surrounded by steep mountains, and dozens of traditional Burmese, Shan, and Intha villages that cannot be reached by means other than boat. And pagodas that cannot be reached other than my foot. The lake rises and falls depending upon the season and the grace of the gods, goddesses, and “nats” of water and rain. Some of the village houses stand on stilts in the water whatever the height of the lake.  Others are seasonal or on land.  All trading and travel needs are met with the use of boats.  The scenery includes young boys riding water buffalo, men and women washing clothes, field workers and children waving, fishermen with nets, dugout canoes being paddled while standing -using one leg to move the long thin paddle through the water. Harvesting watercress,tomatoes, squashes, and corn being grown on floating islands made of river silt and river muck created over the centuries by people with nothing more than their backs and their shovels who do not greet you by asking, “How are you?” but rather, “Are you happy?”  An aquatic culture practicing aquatic farming with ecological awareness on small footpaths and busy boat lanes with bamboo dams, wonderful woven bamboo retaining walls, bamboo stakes and ties, bamboo houses and fences, And bamboo’s consciousness of strength, flexibility, versatility and utility in a land of earthly industry, of farming, weaving, carving, and craft.  Of diligent labor.

A floating restaurant named “Nice.”

A floating home for monks whose name translates to “Jumping Cat Monastery” and actually has jumping cats.

Here the piece breaks off for crystal structures =
Compound: Cd2SbAu
Source: the Alexandria database
Functional: PBE-GGA
Structure: relaxed

abc: 3.5669 3.5669 25.8951
angles: 90.00 90.00 120.00
Last column: nearest neighbours and their distance in Å.
Space group R3m (No. 160, hexagonal axes)
Symmetry-distinct sites (fractional):
Cd 0.0000 0.0000 0.0000 x3  3 Cd 3.03, 3 Sb 3.20
Cd 0.0000 0.0000 0.2475 x3  3 Au 2.87, 3 Cd 3.03
Sb 0.0000 0.0000 0.7612 x3  3 Au 2.85
Au 0.0000 0.0000 0.5039 x3  3 Sb 2.85, 3 Cd 2.87

Properties
As for the total energy: -2.2820 eV/atom. Its density of states at the Fermi level is 0.460 states/eV per atom.

***

Compound: AlIn2Ag
Source: the Alexandria database
Functional: PBE-GGA
Structure: relaxed

abc: 9.1676 3.3730 5.8416
angles: 90.00 103.36 90.00
Last column: nearest neighbours and their distance in Å.
Space group C2/m (No. 12)
Symmetry-distinct sites (fractional):
Al 0.0000 0.0000 0.0000 x2  6 In 2.95-2.99
In 0.2495 0.0000 0.7489 x4  3 Ag 2.94-2.99, 3 Al 2.95-2.99
Ag 0.0000 0.5000 0.5000 x2  6 In 2.94-2.99

Properties
Its density of states at the Fermi level is 0.329 states/eV per atom. The calculation puts the formation energy from the elements at 0.11 eV per atom.

***

Compound: TbBeRu
Source: the Alexandria database
Functional: PBE-GGA
Structure: relaxed

abc: 5.2015 5.2987 7.1226
angles: 90.00 90.00 90.00
Last column: nearest neighbours and their distance in Å.
Space group Imma (No. 74)
Symmetry-distinct sites (fractional):
Tb 0.0000 0.2500 0.1296 x4  6 Ru 2.95-3.06, 6 Be 3.00-3.07, 4 Tb 3.12-3.23
Be 0.2500 0.2500 0.7500 x4  4 Ru 2.57, 2 Be 2.60
Ru 0.0000 0.0000 0.5000 x4  4 Be 2.57, 2 Ru 2.65

Properties
Its density of states at the Fermi level is 0.870 states/eV per atom. The calculation puts the formation energy from the elements at -0.24 eV per atom. As for the energy above the most stable polymorph in this dataset: 43 meV/atom.

***

Compound: Sr3Sn7Hg2
Source: the Alexandria database
Functional: PBE-GGA
Structure: relaxed

abc: 6.4364 6.4364 30.6667
angles: 90.00 90.00 120.00
Last column: nearest neighbours and their distance in Å.
Space group R-3m (No. 166, hexagonal axes)
Symmetry-distinct sites (fractional):
Sr 0.0000 0.0000 0.0000 x3  6 Hg 3.72, 12 Sn 4.11
Sr 0.0000 0.0000 0.1390 x6  12 Sn 3.64-3.86
Sn 0.0000 0.0000 0.5000 x3  6 Sn 3.17
Sn 0.0054 0.5027 0.9166 x18  2 Hg 3.14-3.19, 5 Sn 3.17-3.27
Hg 0.0000 0.0000 0.3351 x6  6 Sn 3.14-3.19

Properties
Its density of states at the Fermi level is 0.436 states/eV per atom. The calculation puts the formation energy from the elements at -0.34 eV per atom.

***

Compound: Ba6Li2N
Source: the Alexandria database
Functional: PBE-GGA
Structure: relaxed

abc: 14.8288 4.4522 14.0728
angles: 90.00 102.92 90.00
Last column: nearest neighbours and their distance in Å.
Space group C2/m (No. 12)
Symmetry-distinct sites (fractional):
Ba 0.0637 0.0000 0.3434 x4  1 N 2.58
Ba 0.1545 0.5000 0.0866 x4  3 Li 3.62-3.95
Ba 0.1629 0.0000 0.6066 x4  1 N 2.54
Li 0.1229 0.5000 0.8239 x4  7 Ba 3.62-3.95

You should come here.

To see and contemplate people who do not walk or run except inside their houses, whose entire terra firma is often but twelve square feet of bamboo flooring filled with mats, bedding, a wood cooking stove, some pots and pans, family photographs, potted plants, posters of soccer teams from England, clothes drying on hooks, and bells ringing.  

I had wanted to leave some of you with the jumping cats, relatives of whom once lived in your home, but wasn’t sure what the monks would want, so I just eased you into the laketo become one with the fishes, and the silt, and the floating islands which support the plants that feed the people who grow and live and thrive and die here, and who asked when you entered their waters if you were happy.